The Biggest Mistakes of the 1900s…and the Envelope Please!

With the change of the calendar from 1999 to the year 2000, people are naturally looking back at the past century to find one person, idea or event that most improved the future. Einstein's theory of relativity changed the basis of science; D-Day, the largest military assault in history, permanently changed the geopolitical course of the world; and Neil Armstrong's walk on the moon realized the dreams of centuries.

~~~
# 1
Diffraction record for Li2CrO3. The powder diffraction line list is simulated, not measured: it uses a cell relaxed with GGA+U and Cu Kα (λ = 1.5418 Å).
Peak positions follow from Bragg's law for the DFT cell and can differ from measured ones.

Largest 6 diffraction maxima, low angle first, 5° ≤ 2θ ≤ 70°:
2theta  I (rel.)  h k l
18.3  26  1 1 0
18.5  66  2 0 0
25.6  100  1 1 1
31.9  21  0 2 0
32.2  33  3 1 0
36.0  32  0 0 2

Crystal structure
```
data_Li2CrO3
_space_group_name_H-M_alt 'C m c 21'
_space_group_IT_number 36
_space_group_name_Hall 'C 2c -2'
_cell_length_a 9.603
_cell_length_b 5.606
_cell_length_c 4.992
_cell_angle_alpha 90.00
_cell_angle_beta 90.00
_cell_angle_gamma 90.00
loop_
_atom_site_label
_atom_site_type_symbol
_atom_site_fract_x
_atom_site_fract_y
_atom_site_fract_z
_atom_site_occupancy
Li1 Li 0.171 0.164 0.000 1
Cr1 Cr 0.000 0.323 0.504 1
O1 O 0.000 0.363 0.130 1
O2 O 0.153 0.176 0.601 1
```

# 2
Diffraction record for Li2Cr2O7. The powder diffraction line list is simulated, not measured: it uses a cell relaxed with GGA+U and Cu Kα (λ = 1.5418 Å).
Peak positions follow from Bragg's law for the DFT cell and can differ from measured ones.

Largest 6 diffraction maxima, low angle first, 5° ≤ 2θ ≤ 70°:
2theta  I (rel.)  h k l
16.3  41  1 0 -1
18.5  61  0 1 -1
21.0  100  -1 1 1
28.6  45  1 1 1
29.4  90  1 1 -2
29.7  35  2 0 0

Crystal structure
```
data_Li2Cr2O7
_space_group_name_H-M_alt 'P -1'
_space_group_IT_number 2
_space_group_name_Hall '-P 1'
_cell_length_a 6.469
_cell_length_b 6.735
_cell_length_c 6.763
_cell_angle_alpha 93.26
_cell_angle_beta 111.02
_cell_angle_gamma 93.37
loop_
_atom_site_label
_atom_site_type_symbol
_atom_site_fract_x
_atom_site_fract_y
_atom_site_fract_z
_atom_site_occupancy
Li1 Li 0.212 0.126 0.453 1
Li2 Li 0.247 0.668 0.175 1
Cr1 Cr 0.256 0.165 0.978 1
Cr2 Cr 0.295 0.655 0.678 1
O1 O 0.038 0.645 0.660 1
O2 O 0.129 0.362 0.002 1
O3 O 0.157 0.066 0.732 1
O4 O 0.233 0.008 0.149 1
O5 O 0.336 0.793 0.499 1
O6 O 0.382 0.434 0.655 1
O7 O 0.455 0.758 0.946 1
```

----------

The following is a computed powder diffractogram of Ba4Y2FeCu5O14. It was derived from the PBE+U geometry in Alexandria, using Cu Kα.

Main lines, in order of falling intensity (15 to 90 degrees two-theta):
| d (Å) | I_rel |
| --- | --- |
| 2.768 | 100.0 |
| 2.745 | 95.3 |
| 2.789 | 88.7 |
| 1.597 | 36.8 |
| 1.585 | 32.1 |
| 1.611 | 31.3 |
| 1.956 | 29.8 |
| 1.927 | 28.4 |
| 2.259 | 23.9 |
| 1.373 | 17.1 |

Atomic structure:
abc: 12.559 12.559 3.853
angles: 90.00 90.00 143.71
Fractional positions:
1 Ba 0.156 0.341 0.000
2 Ba 0.341 0.156 0.000
3 Ba 0.659 0.844 0.000
4 Ba 0.844 0.659 0.000
5 Y 0.000 0.500 0.000
6 Y 0.500 0.000 0.000
7 Fe 0.500 0.500 0.500
8 Cu 0.000 0.000 0.500
9 Cu 0.178 0.822 0.500
10 Cu 0.321 0.679 0.500
11 Cu 0.679 0.321 0.500
12 Cu 0.822 0.178 0.500
13 O 0.060 0.440 0.500
14 O 0.079 0.921 0.500
15 O 0.190 0.810 0.000
16 O 0.249 0.249 0.500
17 O 0.310 0.690 0.000
18 O 0.422 0.578 0.500
19 O 0.440 0.060 0.500
~~~

But it is important to remember the mistakes made in the last century too, and they are worth some thought so that they are not repeated in the next century. As George Santayana said: "Those who do not learn from history are destined to repeat it." While there were many errors in the running, there is only one that stands out as the most important mistake of the last 100 years.

But first the runners-up. Third runner-up: "The world is running out of natural resources." This initially descended from the prophecies of Thomas Malthus that over population would bring famine, shortages, and doom. But none of this has come to pass; we are awash in everything from copper ore to oil, wheat and opportunity. The gas lines of the 1970s were due to a reliance on foreign oil, rather than an actual energy shortage. Prices went up because of political events in the Middle East, not because oil was scarce. New technologies are further eroding the idea that we are running out of resources.

Second runner-up: "Yes Virginia, there is a free lunch." Whether it is new government spending or minimum wage hikes, or more political campaign controls, it is believed by some that government can provide federal goodies without any real cost or consequences. One prime example is welfare. Creating a public safety-net was in itself a good idea, but by not establishing time limits and insisting that no welfare mother could be married or work, the government created a perverse incentive to remain jobless.

The main cost came with the breakdown of the work ethic. Had welfare remained untouched, we could have developed a permanent underclass. Reforms showed that time limits and work requirements were essential to restoring pride and one's ability to provide for one's self.

First runner-up: The fear of technology. While hard to believe today, people once believed that technology would permanently damage our economy. Recall the Luddites and the Saboteurs of the 18th century. Among the many fears, was the belief technology would create unemployment as workers were replaced by automation and new technologies.

While there were some layoffs during the transition, the rise of technology resulted in a huge net gain for our economy. Companies still need humans to run, fix and design the machines, a new industry for computer software has been created, and the Internet empowered entrepreneurs. In fact, since 1982 40 million new jobs have been created in the midst of history's greatest technology explosion. Technology has also benefited society in other ways: advances in medicine have saved lives and increased life expectancy from 47 years in 1900 to the current 77 years.

The biggest mistake, however, was the belief that collectivist government could work. Instead, Communism's virulent evil destroyed hope, opportunity and life itself for nearly 100 million people in a dozen nations, from Russia to China, Cuba to Cambodia. It destroyed individuals, families, customs and entire societies. If nothing else is gleaned from this century's experience, it should be that this Utopian idea was a consuming disaster, proving false the idea that an elite few know best how to run people's lives.

The regimes were brutal: Communists killed people not for what they had done, but for who they were. And it wasn't just Lenin and Stalin. At least 10 million people died in Chairman Mao's China, and Pol Pot's Cambodian regime managed to exterminate 2 million people, a quarter of the nation's population, in just three-and-a-half years. This human tragedy was paired with utopian economic stupidity, including the nationalization of all industry and commerce, the abolition of money in favor of barter with the government, and compulsory labor for all men and many women and children.

Most astounding, however, is decades of Western intellectuals and elites bought into the Communist vision. Lincoln Colcord of the Philadelphia Public Ledger wrote "the proletariat of Russia is striving to accomplish for his world what much the same ideals which our forefathers laid down for theirs." Economist John Kenneth Galbraith wrote in 1984, that the Soviet economy was making "great material progress." And who could forget Jane Fonda telling college students that "if you understood what communism was, you would hope, you would pray on your knees, that we would one day become Communists."

The good news is that time moves on, and the generations whose parents and professors extolled the virtues of the Communist ways will soon be replaced by the technology generation, people grounded in individualism and personal empowerment. The end of the left's vision will come not from a change in policies, but from the new technologies that are empowering people and individualizing opportunities.

So the worst mistake of the Millennium? Communism in a landslide.



The National Center for Policy Analysis is a public policy research institute founded in 1983 and internationally known for its studies on public policy issues. The NCPA is headquartered in Dallas, Texas, with an office in Washington, D.C.